Your job: work out how many lines further below have the word "COC" in them; a number is enough.
Below is a 12-piece molecular cluster, C42H114N6O12 overall at a distorted geometry, with properties calculated with ωB97M-V/def2-TZVPD.

Summary:
HOMO ... -8.784 eV
Frontier orbital gap ... 0.3401 Eh
LUMO level ... 0.5 eV
SMILES ... COC[C@H](C)N.COC[C@H](C)N.COC[C@H](C)N.COC[C@H](C)N.COC[C@H](C)N.COC[C@H](C)N.CC(C)O.CC(C)O.CC(C)O.CC(C)O.CC(C)O.CC(C)O
Molecular weight ... 895.40 g/mol

XYZ file:
```
174
Properties=species:S:1:pos:R:3:mulliken_charge:R:1
C -2.384 -27.220 6.656 -0.048
C -2.132 -28.678 7.120 0.653
C -3.066 -29.642 6.481 -1.538
O -0.810 -28.929 6.641 -0.485
H -1.679 -26.498 7.001 -0.369
H -3.394 -26.990 6.968 0.126
H -2.307 -27.214 5.587 0.349
H -2.097 -28.781 8.230 0.116
H -2.813 -30.752 6.662 0.358
H -3.088 -29.530 5.415 0.378
H -4.058 -29.505 6.978 0.340
H -0.251 -28.657 7.350 0.145
C 2.653 -22.790 13.969 -0.961
C 1.193 -22.691 13.527 0.508
C 0.779 -21.292 13.091 -1.230
O 0.917 -23.637 12.549 -0.225
H 2.803 -21.986 14.679 0.522
H 3.373 -22.638 13.144 -0.023
H 2.898 -23.747 14.532 0.164
H 0.478 -22.926 14.354 0.301
H -0.239 -21.348 12.659 0.100
H 1.407 -21.033 12.263 0.311
H 0.885 -20.541 13.869 0.503
H 1.278 -23.280 11.720 0.172
C -6.154 -20.558 8.404 -0.617
C -5.621 -20.112 7.035 0.431
C -5.106 -21.260 6.251 -0.452
O -6.695 -19.441 6.365 -0.587
H -7.003 -21.207 8.174 0.139
H -6.463 -19.719 8.969 0.519
H -5.316 -21.044 8.934 -0.115
H -4.727 -19.513 7.058 0.149
H -4.337 -21.841 6.857 -0.427
H -4.658 -21.011 5.265 0.556
H -5.897 -22.092 6.201 0.237
H -6.398 -19.252 5.452 0.368
C -4.727 -22.226 13.380 -1.517
C -3.802 -22.210 12.109 0.140
C -3.037 -23.578 12.059 -0.600
O -4.532 -21.894 10.939 -0.284
H -4.036 -22.513 14.169 0.454
H -5.491 -23.017 13.265 0.351
H -5.213 -21.227 13.589 0.308
H -3.137 -21.405 12.276 0.393
H -2.195 -23.518 11.370 -0.356
H -3.741 -24.363 11.707 0.294
H -2.650 -23.894 13.011 0.620
H -5.334 -22.450 10.921 0.157
C -1.886 -20.050 7.761 -0.676
C -0.784 -19.072 8.126 0.442
C -0.901 -18.795 9.623 -1.586
O 0.519 -19.551 7.709 -0.304
H -2.205 -19.972 6.737 0.466
H -2.752 -19.833 8.410 0.267
H -1.659 -21.043 7.976 -0.328
H -0.893 -18.083 7.724 0.416
H -0.920 -19.710 10.189 0.228
H -1.847 -18.265 9.839 0.457
H -0.164 -18.051 9.944 0.442
H 1.238 -18.873 7.814 0.105
C -5.712 -25.447 8.373 -1.654
C -6.373 -24.063 8.427 2.220
C -7.588 -24.182 7.560 -1.720
O -6.722 -23.613 9.739 -0.475
H -4.684 -25.483 8.799 0.118
H -5.599 -25.786 7.366 0.376
H -6.280 -26.109 8.930 0.714
H -5.673 -23.352 8.031 -1.071
H -8.183 -25.055 7.923 0.483
H -7.369 -24.329 6.526 0.407
H -8.255 -23.309 7.716 0.354
H -7.393 -24.196 10.120 0.284
C 3.895 -20.483 7.810 0.101
C 4.047 -19.421 6.739 0.161
C 3.586 -19.745 5.343 -0.443
O 4.503 -20.686 4.717 -0.362
C 3.946 -21.093 3.502 -0.350
N 3.322 -18.227 7.163 -0.497
H 4.367 -21.473 7.582 -0.217
H 2.842 -20.695 7.967 -0.547
H 4.228 -20.028 8.816 0.374
H 5.108 -19.180 6.475 0.276
H 3.525 -18.851 4.749 0.581
H 2.625 -20.195 5.412 0.168
H 3.016 -21.544 3.580 -0.126
H 4.709 -21.750 3.039 0.280
H 3.759 -20.208 2.869 0.361
H 3.923 -17.640 7.724 0.253
H 3.145 -17.596 6.368 0.217
C 6.519 -22.302 11.263 -1.491
C 6.282 -23.526 10.449 0.223
C 5.460 -24.557 11.209 0.027
O 6.063 -24.957 12.422 -0.455
C 5.322 -25.958 13.137 -0.576
N 5.435 -23.109 9.277 -0.050
H 7.069 -22.450 12.186 0.375
H 5.595 -21.889 11.585 0.294
H 7.021 -21.544 10.609 0.366
H 7.210 -24.051 10.201 0.324
H 5.134 -25.397 10.637 0.387
H 4.519 -24.045 11.572 -0.215
H 4.401 -25.575 13.588 0.091
H 5.969 -26.274 13.950 0.321
H 5.156 -26.728 12.440 0.343
H 5.219 -23.912 8.699 -0.164
H 5.961 -22.430 8.708 0.355
C 0.528 -22.427 2.473 -1.533
C -0.092 -22.093 3.831 0.460
C -0.835 -23.253 4.526 1.333
O -1.721 -23.876 3.584 -0.467
C -3.058 -23.648 3.939 -0.490
N 0.859 -21.390 4.720 -0.357
H -0.210 -22.863 1.751 0.352
H 1.240 -23.216 2.585 0.205
H 1.023 -21.470 2.166 0.339
H -0.912 -21.361 3.585 0.269
H -1.373 -22.961 5.438 -0.063
H 0.000 -23.924 4.771 -0.937
H -3.642 -24.245 3.209 0.384
H -3.438 -22.617 3.951 0.226
H -3.263 -24.060 4.953 0.036
1